Exercise =
Count the lines below that contain the word "first" and give the number alone.
Contents =
Entry 1:
Starting from the GGA-PBE geometry in Alexandria, the XRD peak list of PmCuSb2 was computed for Cu Ka.
No peak broadening, texture or thermal motion is included.

Peak list (8 most intense, 10 to 90 degrees two-theta, low angle first)
2theta, intensity, index
27.08, 16, 1 0 2
33.77, 21, 1 0 3
34.09, 100, 1 1 2
41.34, 42, 2 0 0
50.07, 22, 1 0 5
59.89, 14, 2 2 0
66.87, 15, 2 1 5
70.75, 23, 3 1 2

```
data_PmCuSb2
_space_group_name_H-M_alt 'P 4/n m m'
_space_group_IT_number 129
_cell_length_a 4.368
_cell_length_b 4.368
_cell_length_c 10.026
_cell_angle_alpha 90.00
_cell_angle_beta 90.00
_cell_angle_gamma 90.00
loop_
_space_group_symop_operation_xyz
'x,y,z'
'-x,-y,-z'
'-y+1/2,x,z'
'y+1/2,-x,-z'
'-x+1/2,-y+1/2,z'
'x+1/2,y+1/2,-z'
'y,-x+1/2,z'
'-y,x+1/2,-z'
'x+1/2,-y,-z'
'-x+1/2,y,z'
'-y,-x,-z'
'y,x,z'
'-x,y+1/2,-z'
'x,-y+1/2,z'
'y+1/2,x+1/2,-z'
'-y+1/2,-x+1/2,z'
loop_
_atom_site_label
_atom_site_fract_x
_atom_site_fract_y
_atom_site_fract_z
_atom_site_occupancy
Pm1 0.250 0.250 0.250 1
Cu1 0.250 0.750 0.000 1
Sb1 0.250 0.250 0.845 1
Sb2 0.250 0.750 0.500 1
```



Entry 2:
Starting from the GGA-PBE geometry in Alexandria, the XRD peak list of K4Au2BrCl was computed for Cu Ka.
No peak broadening, texture or thermal motion is included.

Peak list (8 most intense, 10 to 90 degrees two-theta, low angle first)
2theta, intensity, index
11.30, 31, 0 0 1
22.26, 25, 2 0 -1
23.22, 36, 2 0 0
26.73, 100, 1 1 1
37.83, 39, 1 1 -3
38.48, 37, 0 2 0
47.47, 20, 2 2 -2
61.78, 17, 0 2 4

```
data_K4Au2BrCl
_space_group_name_H-M_alt 'P 1 2/m 1'
_space_group_IT_number 10
_cell_length_a 8.111
_cell_length_b 4.675
_cell_length_c 8.284
_cell_angle_alpha 90.00
_cell_angle_beta 109.00
_cell_angle_gamma 90.00
loop_
_space_group_symop_operation_xyz
'x,y,z'
'-x,-y,-z'
'-x,y,-z'
'x,-y,z'
loop_
_atom_site_label
_atom_site_fract_x
_atom_site_fract_y
_atom_site_fract_z
_atom_site_occupancy
K1 0.239 0.000 0.235 1
K2 0.247 0.500 0.761 1
Au1 0.000 0.000 0.500 1
Au2 0.500 0.500 0.500 1
Br1 0.500 0.000 0.000 1
Cl1 0.000 0.500 0.000 1
```



Entry 3:
Starting from the GGA-PBE geometry in Alexandria, the XRD peak list of Cu4Ni was computed for Cu Ka.
No peak broadening, texture or thermal motion is included.

Peak list (3 most intense, 10 to 90 degrees two-theta, low angle first)
2theta, intensity, index
43.54, 100, 0 1 5
50.71, 47, 1 0 10
74.54, 27, 1 1 0

```
data_Cu4Ni
_space_group_name_H-M_alt 'R -3 m'
_space_group_IT_number 166
_space_group_name_Hall '-R 3 2"'
_cell_length_a 2.5465
_cell_length_b 2.5465
_cell_length_c 31.1699
_cell_angle_alpha 90.00
_cell_angle_beta 90.00
_cell_angle_gamma 120.00
loop_
_atom_site_label
_atom_site_fract_x
_atom_site_fract_y
_atom_site_fract_z
_atom_site_occupancy
Cu1 0.0000 0.0000 0.1009 1
Cu2 0.0000 0.0000 0.2997 1
Ni1 0.0000 0.0000 0.5000 1
```



Entry 4:
Starting from the GGA-PBE geometry in Alexandria, the XRD peak list of Hg2GeTeSe2 was computed for Cu Ka.
No peak broadening, texture or thermal motion is included.

Peak list (8 most intense, 10 to 90 degrees two-theta, low angle first)
2theta, intensity, index
21.55, 98, 3 1 0
25.21, 96, 3 1 1
25.74, 68, 0 2 0
26.02, 100, 0 0 2
34.96, 82, 6 0 0
42.98, 70, 3 3 0
44.09, 48, 6 0 2
45.41, 88, 3 1 3

```
data_Hg2GeTeSe2
_space_group_name_H-M_alt 'C m c 21'
_space_group_IT_number 36
_cell_length_a 15.400
_cell_length_b 6.922
_cell_length_c 6.849
_cell_angle_alpha 90.00
_cell_angle_beta 90.00
_cell_angle_gamma 90.00
loop_
_space_group_symop_operation_xyz
'x,y,z'
'-x,-y,z+1/2'
'-x,y,z'
'x,-y,z+1/2'
'x+1/2,y+1/2,z'
'-x+1/2,-y+1/2,z+1/2'
'-x+1/2,y+1/2,z'
'x+1/2,-y+1/2,z+1/2'
loop_
_atom_site_label
_atom_site_fract_x
_atom_site_fract_y
_atom_site_fract_z
_atom_site_occupancy
Hg1 0.166 0.160 0.000 1
Ge1 0.000 0.282 0.551 1
Te1 0.000 0.323 0.140 1
Se1 0.173 0.216 0.609 1
```



Entry 5:
Starting from the GGA-PBE geometry in Alexandria, the XRD peak list of Nd3Dy2YHo6 was computed for Cu Ka.
No peak broadening, texture or thermal motion is included.
Result =
4